(Material)
~~~
Model 1:
This record from the OMol25 dataset describes an isolated ion of composition C4H6N and charge +1. The level of theory is ωB97M-V/def2-TZVPD.

The geometry in ORCA input format:
```
! wB97M-V def2-TZVPD RIJCOSX def2/J DEFGRID3
* xyz 1 1
N -0.1034 0.3773 0.3844
C -2.1545 -0.0313 -1.3881
C -0.4902 -1.0466 0.5679
C -1.1974 -0.1962 -0.3902
C 1.1423 0.7173 -0.3180
H -0.5235 0.9353 1.1433
H 1.0268 0.2241 -1.3816
H 1.0764 1.8307 -0.4723
H 0.2064 -1.8212 0.0611
H 1.9638 0.2846 0.3400
H -0.9467 -1.2742 1.4535
*
```

Summary:
orbital gap: 9.2 eV
LUMO energy: -0.239 Ha



Model 2:
This record from the OMol25 dataset describes an isolated ion of composition C4H6N and charge +1. The level of theory is ωB97M-V/def2-TZVPD.

The geometry in ORCA input format:
```
! wB97M-V def2-TZVPD RIJCOSX def2/J DEFGRID3
* xyz 1 1
N 1.3841 -0.7477 0.0079
C -0.0254 -0.6035 -0.0222
C -1.1696 -0.0378 -0.0838
C -2.4727 0.1224 -0.0061
C 1.8157 0.6707 -0.0589
H 1.5079 1.4133 -0.7216
H 1.5941 -1.2719 -0.8167
H 2.2210 1.1923 0.7421
H -3.0871 0.1799 0.8682
H -3.1939 0.2837 -0.8788
H 1.4261 -1.2014 0.9698
*
```

Summary:
orbital gap (alpha / beta): 8.0 / 9.0 eV
LUMO energy (alpha / beta): -0.198 / -0.203 Ha



Model 3:
This record from the OMol25 dataset describes an isolated ion of composition C4H6N and charge +1. The level of theory is ωB97M-V/def2-TZVPD.

The geometry in ORCA input format:
```
! wB97M-V def2-TZVPD RIJCOSX def2/J DEFGRID3
* xyz 1 1
N 0.2518 0.0477 0.4213
C 1.3036 -0.8818 -0.1194
C 1.4345 0.6074 -0.0947
C -1.2168 0.0516 0.0729
C -2.7008 0.0395 -0.0946
H 2.0550 1.0602 0.6809
H -3.0745 -0.1151 -1.0647
H -3.2817 -0.1433 0.7823
H 1.7629 -1.6637 0.5403
H 1.5174 1.2874 -1.0356
H 1.0700 -1.2971 -1.0533
*
```

Summary:
SMILES: C=C=[N+]1CC1
orbital gap (alpha / beta): 9.4 / 9.4 eV
LUMO energy (alpha / beta): -0.233 / -0.233 Ha



It is model 3 that is most stable; the runner-up trails by 55.5 kJ/mol.
~~~

(Brief)
Now search the calculation results earlier on for the word "gap" and copy each line that has it.

(Completed)
orbital gap: 9.2 eV
orbital gap (alpha / beta): 8.0 / 9.0 eV
orbital gap (alpha / beta): 9.4 / 9.4 eV